Want to get a little deep in the subject of what a mindset is? There are some of us here,who know fully the power of and in the mind. God's Word teaches us how to train the mind along his Word, For example. ( rom 12:1-2) To set ones mind like an alarm clock comes with much discipline,and practice.
For what good is having a mind that is set if one never uses it? The negitive set is before us each day as we walk or on our jobsite or wherever we go. The world choose to set there mind on that which is only temporal.( 2 cor 5:16-18) Through the trials of life, they set there mind to what problem will happen to them,and they get excatly what they have set there mind to. Many pray to the Lord for help in this area,as if by some miracle he will fix our mind set. This he can do,but we are also required to do our part to!( james 1:22)
Molecular data, as found in the file:
Entry 1:
C19H31NO2 | the ωB97M-V functional and the def2-TZVPD basis

E_LUMO = 0.87 eV
Energy relative to the best compared isomer or geometry (same formula, charge and spin) = 157.1 kJ/mol
Highest occupied orbital energy = -0.307 hartree
SMILES string = Cc1cccc(C(C)(C)C)c1OCCOCCN1CCCC1
Total energy = -25790.601 eV
Orbital gap = 9.22 eV

Each line ends with the Löwdin charge.
Atoms and positions in Å:
C -0.4540 0.0781 2.9649  -0.02
C -1.0595 0.4146 1.6333  -0.19
C -2.2596 -0.1904 1.2883  -0.06
C -2.8918 0.1188 0.1037  -0.09
C -2.3392 1.0663 -0.7372  -0.04
C -1.1409 1.7020 -0.4383  -0.09
C -0.5867 2.7875 -1.3570  -0.53
C -0.5023 4.1049 -0.5736  -0.03
C -1.4764 3.0358 -2.5815  -0.07
C 0.8026 2.3922 -1.8757  -0.03
C -0.4810 1.3375 0.7520  -0.17
O 0.7037 1.9883 1.0512  -0.08
C 1.8668 1.2485 1.3755  -0.15
C 2.0828 0.0213 0.4890  -0.19
O 2.8740 -0.9085 1.2056  -0.13
C 3.0265 -2.1435 0.5481  -0.20
C 1.7924 -3.0522 0.6342  -0.17
N 0.6558 -2.5631 -0.1131  -0.19
C 0.7695 -2.6152 -1.5585  -0.19
C -0.6479 -2.2756 -2.0030  -0.16
C -1.5148 -3.0315 -0.9899  -0.15
C -0.5882 -3.2478 0.2160  -0.18
H -0.0974 0.9770 3.4641  0.09
H -1.2027 -0.3911 3.6005  0.08
H 0.3773 -0.6181 2.8540  0.08
H -2.7068 -0.8996 1.9707  0.11
H -3.8278 -0.3535 -0.1577  0.10
H -2.8677 1.3041 -1.6444  0.10
H -0.1041 4.8926 -1.2101  0.08
H 0.1410 3.9963 0.2926  0.08
H -1.4931 4.4011 -0.2345  0.09
H -2.4749 3.3521 -2.2895  0.08
H -1.5475 2.1488 -3.2075  0.08
H -1.0389 3.8322 -3.1806  0.08
H 1.5274 2.3830 -1.0708  0.07
H 0.7680 1.4047 -2.3329  0.09
H 1.1350 3.1077 -2.6253  0.09
H 2.6841 1.9662 1.2574  0.13
H 1.8681 0.9135 2.4171  0.11
H 2.5898 0.2916 -0.4497  0.13
H 1.1108 -0.4240 0.2448  0.11
H 3.8546 -2.6401 1.0617  0.12
H 3.3117 -1.9840 -0.5009  0.12
H 2.0913 -4.0673 0.3056  0.12
H 1.4934 -3.1098 1.6846  0.13
H 1.5038 -1.8930 -1.9170  0.11
H 1.0630 -3.6205 -1.9122  0.13
H -0.8464 -2.5692 -3.0319  0.11
H -0.8108 -1.2023 -1.9012  0.09
H -2.3965 -2.4556 -0.7191  0.08
H -1.8405 -3.9890 -1.3961  0.10
H -0.9942 -2.8179 1.1342  0.10
H -0.4195 -4.3242 0.3839  0.12

***

Entry 2:
C19H31OSi | the ωB97M-V functional and the def2-TZVPD basis

Net charge = +1
E_LUMO = -5.76 eV
Energy relative to the best compared isomer or geometry (same formula, charge and spin) = 0.0 kJ/mol
Highest occupied orbital energy = -0.395 hartree
Total energy = -30124.553 eV
Orbital gap = 4.99 eV

Each line ends with the Löwdin charge.
Atoms and positions in Å:
C -0.7497 -0.3090 2.8657  -0.05
C 0.2972 0.1377 1.9319  0.06
C 1.6795 -0.0347 2.2611  -0.11
C 2.5666 1.0918 2.3981  -0.17
C 2.0600 2.5028 2.3621  -0.02
C 3.9028 0.8951 2.7141  0.02
C 4.4292 -0.3800 2.9495  -0.21
C 5.8883 -0.5472 3.2386  -0.02
C 3.5485 -1.4661 2.9349  0.02
C 2.2043 -1.3241 2.6167  -0.17
C 1.3276 -2.5372 2.7201  -0.03
H -1.6122 0.3624 2.8016  0.10
H -1.1147 -1.3258 2.6717  0.09
H -0.3579 -0.2991 3.8935  0.12
H 0.0334 0.9522 1.2551  0.11
H 2.9214 3.1771 2.4442  0.09
H 1.5150 2.7531 1.4442  0.10
H 1.4040 2.7246 3.2173  0.10
H 4.5506 1.7706 2.8108  0.14
To follow the instruction given to us by Jesus in his Word, is having the ability to set ones mind of who we follow.We can measure this mindset by how we act when it rains in our life.( matt 5:45) It will rain! The Service training I received in bootcamp is just the purpose for bootcamp.It is not about learning to follow orders so much as it is about setting ones mind according to the opertaion at hand for the soldier. It takes much discipline and training! So it is with the believer! Please do read the 4 chapters of 2 tim, for how one's mindset can be affected by how, and often one trains there mind in this area.
Training is not once a week at your local church,training is daily, yes everyday of ones life. To many non believers, they are this way because they are to lazy to deal with themselves, let alone others in there life,hence the result! Nothing from nothing leaves nothing!That is the result to that mind set.
== Unrelated to this entry: molecular data ==
1.
{
  "formula": "C2H3F2N6O4",
  "method": "ωB97M-V with the def2-TZVPD basis set",
  "symbols": ["C", "C", "N", "N", "N", "N", "N", "N", "O", "O", "O", "O", "F", "F", "H", "H", "H"],
  "positions_angstrom": [[-0.474, -1.859, -0.393], [0.285, 1.175, 0.278], [-1.372, -0.980, -0.909], [1.087, 0.138, -0.039], [1.065, -1.063, -0.120], [-1.581, 0.129, -0.841], [-0.683, -2.322, 0.968], [0.796, 2.379, 0.184], [-1.946, 1.150, -1.100], [0.154, 3.380, 0.331], [1.938, -1.877, -0.193], [2.067, 2.426, -0.345], [-1.201, -1.250, 1.763], [-1.579, -3.322, 1.041], [-0.306, -2.682, -0.949], [-0.639, 1.237, 0.826], [2.387, 3.342, -0.502]],
  "de_lowest_kcal_mol": 26.30,
  "e_homo_ev": [-13.0, -13.0],
  "lumo_ev": [-7.09, -7.09],
  "charge": 1,
  "orbital_gap_ev": [5.93, 5.93]
}


2.
{
  "formula": "C16H26Cl4F9NaO13P2",
  "method": "ωB97M-V with the def2-TZVPD basis set",
  "symbols": ["Na", "P", "F", "F", "F", "F", "F", "F", "C", "C", "O", "C", "O", "O", "F", "H", "H", "H", "C", "C", "O", "C", "O", "O", "F", "H", "H", "H", "C", "C", "O", "C", "O", "O", "F", "H", "H", "H", "C", "O", "P", "O", "O", "C", "O", "C", "H", "H", "H", "H", "H", "H", "H", "H", "H", "Cl", "C", "C", "Cl", "H", "H", "H", "H", "Cl", "C", "C", "Cl", "H", "H", "H", "H"],
== So much for the molecular data ==
However as even many non believers see in the world, when one has set there mind to a desire in ther life,like becoming a great singer,or great baseball player, the discipline required for such a task in made into light, by how they first change there mind towards there goal,and there actions associated with that goal! That no matter how many people tell them it is to hard,or how many mistakes one makes they keep moving forward towards there goal in life!
While many believers are at the malt shop getting fat,in the non mindset of the world, many believers are coming to understand fully the great need to set ones mind on the things of the Lord,and the purpose of becomeing established in that Word! Hence there result! No fear,peace even in a storm,and the ability to not boast to others,but rather show others through the LOVE!!! Of Jesus which carries them to there goal!( 1 cor 9:23-27!!)
For what good is it to others who see another reaching there goal, if that person keeps how they reached that goal to themselves? But to speak in authority to others, one must first be truly established in there mindset.This does take time, and very hard work on our part! When good friends ask you to go to the bar with them,and you choose not to,not because you are better then they are!!But rather because your mindset has a purpose in your life,and hopefully this you can convey to them to do the same.
While it is very true some will leave you as there friend because of this,who is better off? They want to discuss the problems of there day and life,you wish to discuss how through discipline of staying in God's Word,one can truly set there mind in not only becoming free,but staying free through our Lord Jesus! But the action of discipline comes not from the Lord,but from self in the Lord.
We have to be willing to pay the price to have what we so desire! When you ride in an airplane you can ride coach,but in order to ride first class, you must be willing to pay the price to ride there! So it is with the believer. SO!!! I the least of the brethen in Christ Jesus encourage you to pay the price to ride first class! For indeed the ride in Christ Jesus is much more fuller,and more joyful when your mind is set in him,rather then in others, or self!
For my brothers and sisters,one cannot give to others what one does not have to give! HAVE something to give!! Get your mindset upon the Word, so others can receive the result of your belief in your very faith! STAYING free through Christ Jesus because of it! Freedom is established through God's Word but NOT!!!! to turn ones freedom for opportinuity for the flesh!! BUT through LOVE!!! Serving one another!! amen!! ( gal 5:13-15) To love you neighbor you first have to learn how you stay loved by God in yourself!! This is what a mindset in Christ Jesus does! And the result is leading others to recive such a wonderful gift as a mind set in Jesus! Blessing all!